• Exercise:
Copy the notes further below from the line with "[1]" to the end without additions.
• Data:
[1]
{
  "formula": "C23H40CsGeN6O6PS2",
  "method": "the ωB97M-V functional and the def2-TZVPD basis",
  "species": ["Cs", "N", "N", "C", "N", "N", "N", "O", "O", "H", "H", "H", "H", "H", "C", "C", "O", "P", "S", "S", "O", "C", "C", "H", "H", "H", "H", "H", "H", "H", "H", "H", "H", "O", "C", "O", "C", "C", "C", "C", "C", "C", "C", "C", "C", "N", "H", "H", "H", "H", "H", "H", "C", "C", "C", "C", "Ge", "C", "C", "C", "C", "H", "H", "H", "H", "H", "H", "H", "H", "H", "H", "H", "H", "H", "H", "H", "H", "H", "H", "H"],
  "coordinates": [[2.1957, 1.7959, 0.2845], [0.4303, -2.0697, -0.0337], [0.8688, -2.7688, -1.1676], [1.6451, -2.1433, -2.0905], [1.7362, -2.7560, -3.2771], [2.2642, -1.0355, -1.6915], [3.0000, -0.3448, -2.5920], [3.3369, 0.7737, -2.2224], [3.3392, -0.7934, -3.6891], [0.4718, -2.6984, 0.7569], [-0.5265, -1.7541, -0.1951], [0.2042, -3.4130, -1.5785], [0.9553, -3.3202, -3.5844], [2.2732, -2.2637, -3.9754], [8.9757, 2.8414, 1.0438], [7.9170, 2.6940, 2.1135], [6.8873, 1.8521, 1.6029], [5.5476, 1.6550, 2.5077], [6.0141, 0.7567, 4.1872], [4.5085, 3.3333, 2.5177], [4.7675, 0.6537, 1.4899], [5.2805, -0.6603, 1.2264], [4.2378, -1.6860, 1.6127], [9.7841, 3.4813, 1.4030], [8.5485, 3.2889, 0.1459], [9.3923, 1.8686, 0.7798], [7.4876, 3.6664, 2.3731], [8.3256, 2.2455, 3.0231], [6.2070, -0.8116, 1.7813], [5.5021, -0.7044, 0.1574], [4.0214, -1.6034, 2.6781], [4.6046, -2.6933, 1.4028], [3.3190, -1.5332, 1.0411], [-0.7754, 1.8633, -0.4155], [-1.2381, 0.7491, -0.7373], [-1.9482, 0.0630, 0.1815], [-1.0774, 0.1114, -2.0107], [-0.4152, 0.8140, -3.0525], [-0.2213, 0.2266, -4.2589], [-0.6748, -1.1245, -4.4599], [-0.4447, -1.8398, -5.6334], [-0.8130, -3.1741, -5.7583], [-1.4479, -3.8065, -4.6873], [-1.7075, -3.1192, -3.5156], [-1.3250, -1.7613, -3.3560], [-1.5314, -1.1660, -2.1666], [-0.0781, 1.8232, -2.8533], [0.2887, 0.7424, -5.0636], [0.0594, -1.3379, -6.4531], [-0.6156, -3.7145, -6.6749], [-1.7491, -4.8440, -4.7780], [-2.2218, -3.5943, -2.6875], [-5.4814, -1.5892, 4.3940], [-4.2650, -0.9085, 5.0122], [-3.6452, 0.1599, 4.1112], [-3.0884, -0.3819, 2.7939], [-2.1932, 0.9949, 1.7327], [-3.3926, 2.4935, 1.4030], [-4.5053, 2.0867, 0.4362], [-5.4785, 3.2199, 0.1309], [-6.5758, 2.7995, -0.8397], [-5.9308, -2.3018, 5.0873], [-5.2170, -2.1331, 3.4866], [-6.2444, -0.8528, 4.1293], [-3.5047, -1.6598, 5.2477], [-4.5523, -0.4500, 5.9627], [-2.8504, 0.6687, 4.6667], [-4.4042, 0.9224, 3.9003], [-3.8828, -0.8017, 2.1732], [-2.3779, -1.1914, 2.9858], [-0.8280, 1.3486, 2.3462], [-2.8063, 3.3123, 0.9861], [-3.8185, 2.8317, 2.3527], [-5.0668, 1.2369, 0.8435], [-4.0634, 1.7342, -0.5006], [-4.9195, 4.0631, -0.2857], [-5.9246, 3.5764, 1.0652], [-6.1469, 2.4626, -1.7855], [-7.2601, 3.6218, -1.0548], [-7.1621, 1.9729, -0.4320]],
• Outcome:
[1]
{
  "formula": "C23H40CsGeN6O6PS2",
  "method": "the ωB97M-V functional and the def2-TZVPD basis",
  "species": ["Cs", "N", "N", "C", "N", "N", "N", "O", "O", "H", "H", "H", "H", "H", "C", "C", "O", "P", "S", "S", "O", "C", "C", "H", "H", "H", "H", "H", "H", "H", "H", "H", "H", "O", "C", "O", "C", "C", "C", "C", "C", "C", "C", "C", "C", "N", "H", "H", "H", "H", "H", "H", "C", "C", "C", "C", "Ge", "C", "C", "C", "C", "H", "H", "H", "H", "H", "H", "H", "H", "H", "H", "H", "H", "H", "H", "H", "H", "H", "H", "H"],
  "coordinates": [[2.1957, 1.7959, 0.2845], [0.4303, -2.0697, -0.0337], [0.8688, -2.7688, -1.1676], [1.6451, -2.1433, -2.0905], [1.7362, -2.7560, -3.2771], [2.2642, -1.0355, -1.6915], [3.0000, -0.3448, -2.5920], [3.3369, 0.7737, -2.2224], [3.3392, -0.7934, -3.6891], [0.4718, -2.6984, 0.7569], [-0.5265, -1.7541, -0.1951], [0.2042, -3.4130, -1.5785], [0.9553, -3.3202, -3.5844], [2.2732, -2.2637, -3.9754], [8.9757, 2.8414, 1.0438], [7.9170, 2.6940, 2.1135], [6.8873, 1.8521, 1.6029], [5.5476, 1.6550, 2.5077], [6.0141, 0.7567, 4.1872], [4.5085, 3.3333, 2.5177], [4.7675, 0.6537, 1.4899], [5.2805, -0.6603, 1.2264], [4.2378, -1.6860, 1.6127], [9.7841, 3.4813, 1.4030], [8.5485, 3.2889, 0.1459], [9.3923, 1.8686, 0.7798], [7.4876, 3.6664, 2.3731], [8.3256, 2.2455, 3.0231], [6.2070, -0.8116, 1.7813], [5.5021, -0.7044, 0.1574], [4.0214, -1.6034, 2.6781], [4.6046, -2.6933, 1.4028], [3.3190, -1.5332, 1.0411], [-0.7754, 1.8633, -0.4155], [-1.2381, 0.7491, -0.7373], [-1.9482, 0.0630, 0.1815], [-1.0774, 0.1114, -2.0107], [-0.4152, 0.8140, -3.0525], [-0.2213, 0.2266, -4.2589], [-0.6748, -1.1245, -4.4599], [-0.4447, -1.8398, -5.6334], [-0.8130, -3.1741, -5.7583], [-1.4479, -3.8065, -4.6873], [-1.7075, -3.1192, -3.5156], [-1.3250, -1.7613, -3.3560], [-1.5314, -1.1660, -2.1666], [-0.0781, 1.8232, -2.8533], [0.2887, 0.7424, -5.0636], [0.0594, -1.3379, -6.4531], [-0.6156, -3.7145, -6.6749], [-1.7491, -4.8440, -4.7780], [-2.2218, -3.5943, -2.6875], [-5.4814, -1.5892, 4.3940], [-4.2650, -0.9085, 5.0122], [-3.6452, 0.1599, 4.1112], [-3.0884, -0.3819, 2.7939], [-2.1932, 0.9949, 1.7327], [-3.3926, 2.4935, 1.4030], [-4.5053, 2.0867, 0.4362], [-5.4785, 3.2199, 0.1309], [-6.5758, 2.7995, -0.8397], [-5.9308, -2.3018, 5.0873], [-5.2170, -2.1331, 3.4866], [-6.2444, -0.8528, 4.1293], [-3.5047, -1.6598, 5.2477], [-4.5523, -0.4500, 5.9627], [-2.8504, 0.6687, 4.6667], [-4.4042, 0.9224, 3.9003], [-3.8828, -0.8017, 2.1732], [-2.3779, -1.1914, 2.9858], [-0.8280, 1.3486, 2.3462], [-2.8063, 3.3123, 0.9861], [-3.8185, 2.8317, 2.3527], [-5.0668, 1.2369, 0.8435], [-4.0634, 1.7342, -0.5006], [-4.9195, 4.0631, -0.2857], [-5.9246, 3.5764, 1.0652], [-6.1469, 2.4626, -1.7855], [-7.2601, 3.6218, -1.0548], [-7.1621, 1.9729, -0.4320]],